7.64. But they denied him, so We saved him and those with him in the ship, and We drowned those who denied Our token Lo! they were blind folk. (Pickthall)
7.64. Und sie haben ihn der Lüge bezichtigt, und Wir haben ihn gerettet, und diejenigen mit ihm, in dem Schiff, und Wir haben diejenigen ertränkt, die Unsere Zeichen als Lüge bezeichnet haben, sie waren ja blinde Leute. (Ahmad v. Denffer)
7.64. Sie aber bezichtigten ihn der Lüge. Da retteten Wir ihn und diejenigen, die mit ihm waren, im Schiff und ließen diejenigen ertrinken, die Unsere Zeichen für Lüge erklärten. Sie waren gewiß blinde Leute. (Bubenheim)
7.64. Sie bezichtigten ihn der Lüge. Wir aber retteten ihn und seine Gefährten in der Arche. Wir ließen die Ungläubigen, die Unsere Zeichen für Lügen hielten, ertrinken, denn sie waren absichtlich blind. (Azhar)
7.64. So haben sie ihn der Lüge bezichtigt; dann haben WIR ihn und diejenigen, die mit ihm waren, in der Arche gerettet, und haben diejenigen, die Unsere Ayat leugneten, ertrinken lassen. Sie waren ja verblendete Menschen. (Zaidan)
7.64. Da ziehen sie ihn der Lüge. Aber wir erretteten ihn und diejenigen, die mit ihm im Schiff waren, und ließen diejenigen ertrinken, die unsere Zeichen als Lüge erklärten. Sie waren alle blind. (Paret)
7.64. Doch sie bezichtigten ihn der Lüge; dann erretteten Wir ihn und die, die mit ihm im Schiff waren, und ließen jene ertrinken, die Unsere Zeichen verwarfen. Sie waren wahrlich eine blinde Schar. (Rasul)
7.64. Sie aber bezichtigten ihn der Lüge. Daraufhin erretteten Wir ihn und diejenigen, die mit ihm auf dem Schiff waren, und Wir ertränkten diejenigen, die Unsere Zeichen leugneten, denn sie waren gewiss verblendete Leute. (Périsset)
Tafsir von Maududi für die Ayaat 62 bis 64
"I convey to you the Messages of my Lord and am your well-wisher for I know from Allah what you do not know. Do you think it strange that admonition from your Lord should come to you through a man from among your own people so that he may warn you and you may guard against error and be graced with mercy?" ( 49 ) But they treated him as an impostor. Ultimately, We rescued Noah and those with him in the Ark and drowned those who rejected Our Revelations as false. ( 50 ) Indeed they were a blind people!
Desc No: 49 he incident has been related here because what had happened between Noah (Allah's peace be upon him) and his people was exactly taking place at that time between Muhammad (Allah's peace be upon him) and his people. His Message was the same as that of Noah and the response of the chiefs to it was also the same. The chiefs of the Quraish were raising the same doubts against his Message that were raised by the chiefs of the people of Noah thousands of years before the Holy Prophet, and the same things were said in reply as were said by Noah. Further on, it has been shown in the stories of the Messengers that the attitude of their people towards their Message was the same that was being shown by the chiefs of Makkah. Thus, the Qur'an impresses on its addressees the fact that in every age, the basic deviation of each people had always been the same, and that the invitation of the Messenger of Allah had also been the same in every age, and the ultimate end of all those who denied and rejected that invitation, has always been the same and will always be the same.
### Crystal structures that have nothing to do with the entry
********
(1)
Calculated powder X-ray diffraction pattern
Compound: Ho5ThAs6
Radiation: Cu Kα (λ = 1.5418 Å)
Structure: a PBE-relaxed structure

Atomic structure:
```
Ho5ThAs6
1.0
3.5777 -6.1895 0.0000
3.5777 6.1895 0.0000
-2.3907 0.0000 6.7419
Ho Th As
5 1 6
direct
0.0000 0.0000 0.0000 Ho
0.1668 0.8332 0.5000 Ho
0.3342 0.6658 0.0000 Ho
0.6658 0.3342 0.0000 Ho
0.8332 0.1668 0.5000 Ho
0.5000 0.5000 0.5000 Th
0.0783 0.4156 0.2467 As
0.2466 0.2466 0.7517 As
0.4156 0.0783 0.2467 As
0.5844 0.9217 0.7533 As
0.7534 0.7534 0.2483 As
0.9217 0.5844 0.7533 As
```

Most intense lines, 15° ≤ 2θ ≤ 90°, in order of falling intensity:
Position (°2θ), d_spacing, Rel. int.
30.62, 2.919, 1000
43.86, 2.064, 749
72.38, 1.306, 339
26.44, 3.371, 275
54.44, 1.686, 264
80.61, 1.192, 255

(2)
Calculated powder X-ray diffraction pattern
Compound: Pr3GaRu2
Radiation: Cu Kα (λ = 1.5418 Å)
Structure: a PBE-relaxed structure

Atomic structure:
```
Pr3GaRu2
1.0
-2.1793 2.1795 7.5020
2.1793 -2.1795 7.5020
2.1793 2.1795 -7.5020
Pr Ga Ru
3 1 2
direct
0.0000 0.0000 0.0000 Pr
0.1812 0.6812 0.5000 Pr
0.8188 0.3188 0.5000 Pr
0.5000 0.5000 0.0000 Ga
0.3759 0.8759 0.5000 Ru
0.6241 0.1241 0.5000 Ru
```

Most intense lines, 15° ≤ 2θ ≤ 90°, in order of falling intensity:
Position (°2θ), d_spacing, Rel. int.
31.38, 2.851, 1000
37.78, 2.381, 835
41.43, 2.179, 736
36.35, 2.472, 655
56.28, 1.635, 367
28.97, 3.082, 297

(3)
Calculated powder X-ray diffraction pattern
Compound: Pr4Sm5Ho3
Radiation: Cu Kα (λ = 1.5418 Å)
Structure: a PBE-relaxed structure

Atomic structure:
```
Pr4Sm5Ho3
1.0
8.1904 -3.0009 0.0000
8.1904 3.0009 0.0000
-4.2472 0.0000 8.4702
Pr Sm Ho
4 5 3
direct
0.0835 0.0835 0.4433 Pr
0.2173 0.2173 0.8792 Pr
0.7827 0.7827 0.1208 Pr
0.9165 0.9165 0.5567 Pr
0.0000 0.0000 0.0000 Sm
0.3284 0.3284 0.6122 Sm
0.4272 0.4272 0.2977 Sm
0.5728 0.5728 0.7023 Sm
0.6716 0.6716 0.3878 Sm
0.2097 0.2097 0.2300 Ho
0.5000 0.5000 0.0000 Ho
0.7903 0.7903 0.7700 Ho
```

Most intense lines, 15° ≤ 2θ ≤ 90°, in order of falling intensity:
Position (°2θ), d_spacing, Rel. int.
29.77, 3.001, 1000
32.00, 2.797, 797
33.06, 2.710, 649
31.26, 2.861, 468
30.64, 2.918, 424
28.66, 3.114, 356

(4)
Calculated powder X-ray diffraction pattern
Compound: ZrCo2SnS
Radiation: Cu Kα (λ = 1.5418 Å)
Structure: a PBE-relaxed structure

Atomic structure:
```
ZrCo2SnS
1.0
4.5591 0.0000 0.0000
0.0000 4.5591 0.0000
0.0000 0.0000 5.7496
Zr Co Sn S
1 2 1 1
direct
0.0000 0.0000 0.0000 Zr
0.0000 0.5000 0.0000 Co
0.5000 0.0000 0.0000 Co
0.0000 0.0000 0.5000 Sn
0.5000 0.5000 0.5000 S
```

Most intense lines, 15° ≤ 2θ ≤ 90°, in order of falling intensity:
Position (°2θ), d_spacing, Rel. int.
19.47, 4.559, 1000
39.53, 2.280, 703
********
### The crystal structures stop here
Desc No: 50 The brief descriptions of certain events from the mission of Prophets at certain places in the Qur'an have given rise to the conjecture that the whole thing was finished in a couple of meetings. They think that a prophet presented his claim before his people and they raised some objections against it. Then the Prophet answered them, but they rejected him, and declared the Message to be false. This was repeated a couple of times; then God sent down His scourge. This is a wrong conjecture made by those who are ignorant of the style of the Qur'an. These things arc only parts of the long struggle, for the Qur'an does not give all the details of a story at one and the same place. In relating some historical event, it confines itself only to that part of the story which is directly connected with the theme under discussion and leaves out all other details. As an illustration, let us cite instances of this from the story of Prophet Noah. Here the aim is to warn the people of the consequences of the denial and rejection of the Message of the Prophet. So it was not necessary to mention the long period during which the Prophet continued preaching the Message to his people. But at places where the story is related to teach fortitude to Prophet Muhammad and his Companions, a special mention has been made of the long period during which Prophet Noah went on preaching the Message. This is to encourage them that they should not lose heart by seeing no great and immediate result of their efforts of a few years but should learn a lesson from the story of Prophet Noah, who went on performing his mission with fortitude for centuries in very adverse circumstances, without losing heart. (Sec XXIX: 14). Likewise, some people become sceptical when they read, over and over again, such a thing as this: "We drowned (destroyed) those who denied the Message and treated it as false": they ask, "Why do such things not happen now a-days?" They admit that though the rise and fall of nations is always taking place in the world, this change is of a different nature from the one described in the Qur'an, e.g., instant destruction of a nation by an earthquake or flood or storm or lightning after due notice by a Prophet. In order to remove this doubt, one should understand the difference between the case of that community in which a Prophet is born and raised from among themselves, and the one where a Prophet is not present in person. He conveys Allah's Message directly to them in their own language and presents a perfect and excellent model of it in his own person in such a convincing way as to leave no excuse whatever for them to reject it. Therefore such a community deserves the severest punishment on the spot for rejecting the Messenger of Allah after such clear Signs. Obviously the case of such a community is basically different from the case of that community which dces not receive the Message directly from the Prophet but received it through indirect means. So there is no wonder if such chastisements arc not inflicted on the spot now, as they were during the times of the Prophets. This is because after the Prophethood of Muhammad, the last in the line of prophets (Allah's peace be upon them all), no prophet has been sent, nor shall any be sent up to the Last Day. This does not, however, mean that Allah has now totally given up the infliction of chastisements. The fact is that even now He sends disasters by way of warning or punishment on those communities which rebel against Him and deviate into error. But it is a pity that people do not turn their attention towards the real cause. Instead of looking at these as the consequences of their own evil ways, their scientists, their historians and their philosophers, who cannot go beyond physical causes, mislead them by ascribing these to some physical and historical laws. These so-called scholars do not let them turn their attention to the fact that there is Allah above them, Who first warns them of their evil ways by inflicting minor disasters, and then, if they persist in the wrong ways, He throws them into the abyss of destruction. "